Excerpt:
~~~
{
  "formula": "C7H10NP",
  "method": "ωB97M-V/def2-TZVPD",
  "symbols": ["P", "N", "C", "C", "C", "C", "C", "C", "C", "H", "H", "H", "H", "H", "H", "H", "H", "H", "H"],
  "coordinates": [[2.16051, 1.81494, -1.80969], [1.79518, -0.93868, 1.96240], [0.65883, 1.95340, -1.77229], [0.81934, -0.47057, 1.43480], [0.26794, -0.81632, 0.13410], [2.97206, -1.08547, 2.40039], [-0.93848, 0.03395, -0.09337], [-0.75829, 1.82144, -1.88888], [-1.29868, 0.41825, -1.61707], [-1.26828, 2.48557, -1.13841], [0.93500, -0.43991, -0.60140], [-0.76185, 1.01391, 0.40493], [-2.41950, 0.49278, -1.65594], [3.66721, -0.34726, 2.20653], [0.13681, -1.93362, 0.06687], [-0.91337, -0.41234, -2.17475], [3.28753, -1.69817, 3.14940], [-1.17405, 2.09399, -2.93505], [-1.89547, -0.43754, 0.25961]],
  "lowdin_charge": [0.83, 0.01, -0.68, -0.05, -0.23, -0.03, -0.24, -0.35, -0.20, 0.12, 0.05, 0.10, 0.11, 0.03, 0.14, 0.10, 0.03, 0.14, 0.12],
  "homo_ev": [-4.9, -9.6],
  "orbital_gap_ev": [5.58, 8.59],
  "spin_multiplicity": 3,
  "e_above_lowest_kj_mol": 143.2
}



{
  "formula": "C9H14O",
  "method": "ωB97M-V/def2-TZVPD",
  "symbols": ["O", "C", "C", "C", "C", "C", "C", "C", "C", "C", "H", "H", "H", "H", "H", "H", "H", "H", "H", "H", "H", "H", "H", "H"],
  "coordinates": [[-0.58196, 1.64736, 2.41647], [0.85456, -1.35603, 1.07936], [-0.03483, -3.28633, -0.30123], [-0.45151, 0.40903, 1.77475], [1.46470, 2.16854, -1.99718], [0.00439, 2.55488, -1.68855], [0.81111, -0.20464, 1.80012], [-1.51412, -0.09138, 1.08551], [-0.23213, -2.02946, 0.49991], [-1.46586, -1.40285, 0.51754], [-0.99719, -3.76966, -0.46726], [-2.43496, -1.78472, 0.22850], [1.85291, 2.77848, -2.80576], [-0.47165, 1.93428, -0.93178], [0.60470, -3.99627, 0.25174], [1.50548, 0.20147, 2.51914], [-0.18378, 3.61933, -1.55183], [-0.42097, 2.45311, -2.68935], [-2.45615, 0.43807, 1.00443], [1.71195, -2.02703, 1.22608], [-1.48044, 1.67791, 2.74380], [2.04727, 2.05943, -1.07866], [0.43291, -3.12985, -1.26431], [1.43557, 1.13635, -2.37143]],
  "lowdin_charge": [0.02, -0.06, -0.06, -0.33, -0.17, -0.16, -0.01, -0.04, -0.29, -0.03, 0.07, 0.11, 0.06, 0.05, 0.08, 0.12, 0.06, 0.06, 0.11, 0.12, 0.09, 0.06, 0.08, 0.06],
  "smiles": "Cc1ccc(O)cc1.CC",
  "homo_ev": -8.6,
  "orbital_gap_ev": 9.53,
  "e_above_lowest_kj_mol": 91.1
}



{
  "formula": "C11H14N4OS",
  "method": "ωB97M-V/def2-TZVPD",
  "symbols": ["S", "O", "N", "N", "N", "N", "C", "C", "C", "C", "C", "C", "C", "C", "C", "C", "C", "H", "H", "H", "H", "H", "H", "H", "H", "H", "H", "H", "H", "H", "H"],
  "coordinates": [[-1.72012, 1.16107, 2.10741], [-2.06618, -2.04806, 4.05829], [-2.34128, -0.05943, 3.01175], [1.19419, -0.11200, -1.49140], [1.99231, 1.87378, -2.30202], [0.51504, 3.33234, -3.52277], [-0.39678, -1.37474, 2.43555], [-0.17450, 0.15490, 1.99976], [-1.62824, -1.20610, 3.25343], [1.00964, 0.99925, -2.30123], [0.70901, 0.21946, 0.78664], [1.72034, 3.01398, -2.94060], [-0.43169, -2.38012, 1.21346], [0.29894, -2.03087, -0.16364], [-0.15204, 1.19462, -2.91766], [-0.39689, 2.37871, -3.61166], [0.24587, -0.50430, -0.49401], [2.21452, -0.15669, -1.33201], [1.40955, -2.26202, 0.04088], [-0.93005, 0.45868, -2.70080], [-0.17391, -3.39305, 1.47415], [-2.95278, 0.13171, 3.82952], [-1.52425, -2.47555, 1.13475], [-1.23656, 2.48200, -4.28250], [-0.30360, -2.59059, -0.97469], [-0.73508, -0.19588, -0.84049], [1.66089, -0.34484, 0.99021], [0.34091, -1.80397, 3.08994], [2.53136, 3.70818, -2.99455], [0.35351, 0.65744, 2.88407], [0.96786, 1.17209, 0.56019]],
  "lowdin_charge": [0.92, 0.04, -0.31, 0.04, 0.14, 0.06, -0.19, -0.46, -0.53, -0.40, -0.16, -0.16, -0.11, -0.10, -0.03, -0.12, -0.34, 0.15, 0.13, 0.11, 0.10, 0.14, 0.11, 0.11, 0.14, 0.13, 0.15, 0.14, 0.10, 0.12, 0.08],
  "smiles": "O=C1NS[C@@H]2C[C@@H](Nc3ccncn3)CC[C@H]12",
  "homo_ev": -8.3,
  "orbital_gap_ev": 8.84,
  "e_above_lowest_kj_mol": 181.8
}



{
  "formula": "C5H12NP",
  "method": "ωB97M-V/def2-TZVPD",
  "symbols": ["P", "N", "C", "C", "C", "C", "C", "H", "H", "H", "H", "H", "H", "H", "H", "H", "H", "H", "H"],
~~~
Job:
The reader should retype the whole of the material above verbatim.
Completed:
{
  "formula": "C7H10NP",
  "method": "ωB97M-V/def2-TZVPD",
  "symbols": ["P", "N", "C", "C", "C", "C", "C", "C", "C", "H", "H", "H", "H", "H", "H", "H", "H", "H", "H"],
  "coordinates": [[2.16051, 1.81494, -1.80969], [1.79518, -0.93868, 1.96240], [0.65883, 1.95340, -1.77229], [0.81934, -0.47057, 1.43480], [0.26794, -0.81632, 0.13410], [2.97206, -1.08547, 2.40039], [-0.93848, 0.03395, -0.09337], [-0.75829, 1.82144, -1.88888], [-1.29868, 0.41825, -1.61707], [-1.26828, 2.48557, -1.13841], [0.93500, -0.43991, -0.60140], [-0.76185, 1.01391, 0.40493], [-2.41950, 0.49278, -1.65594], [3.66721, -0.34726, 2.20653], [0.13681, -1.93362, 0.06687], [-0.91337, -0.41234, -2.17475], [3.28753, -1.69817, 3.14940], [-1.17405, 2.09399, -2.93505], [-1.89547, -0.43754, 0.25961]],
  "lowdin_charge": [0.83, 0.01, -0.68, -0.05, -0.23, -0.03, -0.24, -0.35, -0.20, 0.12, 0.05, 0.10, 0.11, 0.03, 0.14, 0.10, 0.03, 0.14, 0.12],
  "homo_ev": [-4.9, -9.6],
  "orbital_gap_ev": [5.58, 8.59],
  "spin_multiplicity": 3,
  "e_above_lowest_kj_mol": 143.2
}



{
  "formula": "C9H14O",
  "method": "ωB97M-V/def2-TZVPD",
  "symbols": ["O", "C", "C", "C", "C", "C", "C", "C", "C", "C", "H", "H", "H", "H", "H", "H", "H", "H", "H", "H", "H", "H", "H", "H"],
  "coordinates": [[-0.58196, 1.64736, 2.41647], [0.85456, -1.35603, 1.07936], [-0.03483, -3.28633, -0.30123], [-0.45151, 0.40903, 1.77475], [1.46470, 2.16854, -1.99718], [0.00439, 2.55488, -1.68855], [0.81111, -0.20464, 1.80012], [-1.51412, -0.09138, 1.08551], [-0.23213, -2.02946, 0.49991], [-1.46586, -1.40285, 0.51754], [-0.99719, -3.76966, -0.46726], [-2.43496, -1.78472, 0.22850], [1.85291, 2.77848, -2.80576], [-0.47165, 1.93428, -0.93178], [0.60470, -3.99627, 0.25174], [1.50548, 0.20147, 2.51914], [-0.18378, 3.61933, -1.55183], [-0.42097, 2.45311, -2.68935], [-2.45615, 0.43807, 1.00443], [1.71195, -2.02703, 1.22608], [-1.48044, 1.67791, 2.74380], [2.04727, 2.05943, -1.07866], [0.43291, -3.12985, -1.26431], [1.43557, 1.13635, -2.37143]],
  "lowdin_charge": [0.02, -0.06, -0.06, -0.33, -0.17, -0.16, -0.01, -0.04, -0.29, -0.03, 0.07, 0.11, 0.06, 0.05, 0.08, 0.12, 0.06, 0.06, 0.11, 0.12, 0.09, 0.06, 0.08, 0.06],
  "smiles": "Cc1ccc(O)cc1.CC",
  "homo_ev": -8.6,
  "orbital_gap_ev": 9.53,
  "e_above_lowest_kj_mol": 91.1
}



{
  "formula": "C11H14N4OS",
  "method": "ωB97M-V/def2-TZVPD",
  "symbols": ["S", "O", "N", "N", "N", "N", "C", "C", "C", "C", "C", "C", "C", "C", "C", "C", "C", "H", "H", "H", "H", "H", "H", "H", "H", "H", "H", "H", "H", "H", "H"],
  "coordinates": [[-1.72012, 1.16107, 2.10741], [-2.06618, -2.04806, 4.05829], [-2.34128, -0.05943, 3.01175], [1.19419, -0.11200, -1.49140], [1.99231, 1.87378, -2.30202], [0.51504, 3.33234, -3.52277], [-0.39678, -1.37474, 2.43555], [-0.17450, 0.15490, 1.99976], [-1.62824, -1.20610, 3.25343], [1.00964, 0.99925, -2.30123], [0.70901, 0.21946, 0.78664], [1.72034, 3.01398, -2.94060], [-0.43169, -2.38012, 1.21346], [0.29894, -2.03087, -0.16364], [-0.15204, 1.19462, -2.91766], [-0.39689, 2.37871, -3.61166], [0.24587, -0.50430, -0.49401], [2.21452, -0.15669, -1.33201], [1.40955, -2.26202, 0.04088], [-0.93005, 0.45868, -2.70080], [-0.17391, -3.39305, 1.47415], [-2.95278, 0.13171, 3.82952], [-1.52425, -2.47555, 1.13475], [-1.23656, 2.48200, -4.28250], [-0.30360, -2.59059, -0.97469], [-0.73508, -0.19588, -0.84049], [1.66089, -0.34484, 0.99021], [0.34091, -1.80397, 3.08994], [2.53136, 3.70818, -2.99455], [0.35351, 0.65744, 2.88407], [0.96786, 1.17209, 0.56019]],
  "lowdin_charge": [0.92, 0.04, -0.31, 0.04, 0.14, 0.06, -0.19, -0.46, -0.53, -0.40, -0.16, -0.16, -0.11, -0.10, -0.03, -0.12, -0.34, 0.15, 0.13, 0.11, 0.10, 0.14, 0.11, 0.11, 0.14, 0.13, 0.15, 0.14, 0.10, 0.12, 0.08],
  "smiles": "O=C1NS[C@@H]2C[C@@H](Nc3ccncn3)CC[C@H]12",
  "homo_ev": -8.3,
  "orbital_gap_ev": 8.84,
  "e_above_lowest_kj_mol": 181.8
}



{
  "formula": "C5H12NP",
  "method": "ωB97M-V/def2-TZVPD",
  "symbols": ["P", "N", "C", "C", "C", "C", "C", "H", "H", "H", "H", "H", "H", "H", "H", "H", "H", "H", "H"],